[Data]
~~~
No. 1
For Al4ZnPt, the PBE geometry in Alexandria gives the simulated X-ray powder pattern in this record (a wavelength of 1.5418 Å).
Peak positions follow from Bragg's law for the DFT cell and can differ from measured ones.

Structure:
Cell: 8.3869 8.4810 11.8520 Å, 90.00 90.00 90.00°
Space group Fddd (No. 70, origin choice 2)
Inequivalent atoms, fractional coordinates:
Al1 0.1229 0.3724 0.2490 (multiplicity 32)
Zn1 0.1250 0.1250 0.6250 (multiplicity 8)
Pt1 0.1250 0.1250 0.1250 (multiplicity 8)

Peak list (10 most intense, 10 to 80 degrees two-theta, by angle)
Position (°2θ)	I/Imax
16.64	58
25.84	97
26.03	97
29.97	23
42.64	26
43.04	100
43.15	25
50.64	32
50.98	47
68.99	22



No. 2
For HoAl3Rh, the PBE geometry in Alexandria gives the simulated X-ray powder pattern in this record (a wavelength of 1.5418 Å).
Peak positions follow from Bragg's law for the DFT cell and can differ from measured ones.

Structure:
Cell: 8.1537 5.4462 8.3023 Å, 90.00 99.75 90.00°
Space group P2_1/c (No. 14)
Inequivalent atoms, fractional coordinates:
Ho1 0.1296 0.1161 0.2126 (multiplicity 4)
Al1 0.1355 0.6261 0.0538 (multiplicity 4)
Al2 0.2855 0.6015 0.3586 (multiplicity 4)
Al3 0.4003 0.1609 0.5585 (multiplicity 4)
Rh1 0.4524 0.6503 0.6516 (multiplicity 4)

Peak list (10 most intense, 10 to 80 degrees two-theta, by angle)
Position (°2θ)	I/Imax
21.72	49
23.42	37
26.06	34
27.59	40
28.02	56
35.94	51
36.86	100
37.12	47
37.74	58
40.49	53



No. 3
For NdSm2ErTm, the PBE geometry in Alexandria gives the simulated X-ray powder pattern in this record (a wavelength of 1.5418 Å).
Peak positions follow from Bragg's law for the DFT cell and can differ from measured ones.

Structure:
Cell: 8.4251 11.5364 7.2448 Å, 90.00 90.00 90.00°
Space group Cmcm (No. 63)
Inequivalent atoms, fractional coordinates:
Nd1 0.0000 0.2278 0.2500 (multiplicity 4)
Sm1 0.1933 0.0000 0.0000 (multiplicity 8)
Er1 0.0000 0.2279 0.7500 (multiplicity 4)
Tm1 0.0000 0.4966 0.2500 (multiplicity 4)

Peak list (10 most intense, 10 to 80 degrees two-theta, by angle)
Position (°2θ)	I/Imax
26.20	45
27.90	32
29.11	50
31.01	61
32.60	100
32.82	30
35.68	50
39.74	36
45.61	69
65.74	31
~~~
[Activity]
What is needed: echo every line earlier on that contains the word "degrees".
[Response]
Peak list (10 most intense, 10 to 80 degrees two-theta, by angle)
Peak list (10 most intense, 10 to 80 degrees two-theta, by angle)
Peak list (10 most intense, 10 to 80 degrees two-theta, by angle)